What is the difference between spear phishing and regular phishing?

Find out how spear-phishing works and what you can do to minimize your security risks.


The short answer to this question is that “phishing” is an opportunistic email attack that targets many people with a “false-premise” (or lie) to trick at least some of them into take an action for the attacker’s benefit. The attacker doesn’t really know who will fall for it. However, a “spear-phishing” attack targets key individuals or groups of people much more precisely, to achieve a higher value goal, and uses more elaborate deceptions that exploit the victim’s trust and emotions, based on what the attacker knows about them. This article explains in more detail how phishing and spear-phishing attacks differ.

Why are phishing and spear-phishing such a problem?

“Phishing” and “spear-phishing” are the most common causes of corporate security breaches. A Trend Micro report highlighted the fact that 91% of cyber attacks begin with a spear-phishing email.

You may already know that phishing messages try to trick people into clicking on links or attachments in emails. But you might be surprised at how much of a disconnect there still is between how people are being targeted in phishing attacks and how well they are able to defend against those attacks. According to Beauceron Security’s latest industry survey of over 20,000 individuals, 12% of the respondents did not know what the term “phishing” means.

It’s logical to assume from this finding that an even higher percentage of people probably don’t know what the term “spear phishing” means. So, if at least 10% of individuals aren’t even aware of what phishing is, the business world has a huge vulnerability, because security technologies aren’t able to detect and block every phishing threat.

In fact, data from Click Armor’s own “Can I Be Phished?” online phishing self-assessment indicates that 90% of individuals who have tried the challenge mis-identify at least one in ten potential phishing messages.

Opportunistic versus targeted emails
You can think of “regular phishing” as an opportunistic kind of attack, where the attackers don’t really care who the victims are; only that they can trick enough people to make it worth their while. “Spear-phishing” is more of a targeted attack, where the attacker has a specific goal in mind, and will spend more time setting up the attack to be successful against specific victims.

As an analogy, think of the difference between a hustler that opportunistically cheats people in Three-card Monte card scams, and the elaborate plots and setups in movies like “The Sting”, “Oceans Eleven” or “Inception”. (All three of these are rated in the top 10 “con artist” movies by “screenrant.com”.) Both methods use various kinds of deception techniques. But the higher value the target is, the more effort it takes to succeed, because they usually have stronger defenses in place.

In both regular phishing and spear-phishing messages, their subject lines and bodies and almost always involve impersonation of somebody the target victim trusts. The difference between the two is mostly in how much effort the attacker puts into their research, and the creation of situations where the target will not suspect that they are being tricked.

How do you know if you’re being scammed in a simple phishing attack, or part of a more evil plot?

Opportunistic attacks are often easy to spot because something just doesn’t look right, and the usually message comes unexpectedly. But it’s not always easy to tell if a message is a spear-phishing attack, and sometimes it’s almost impossible to know at the beginning of an encounter. A basic phishing attack may have a simple request (“Is this really you?”) or notification message that plays on some emotion like fear (“This is your final notice!).

# Data records, as found in the file
'''
Calculated XRD peak list of Nd12Sm2Ho for Cu Kα X-rays, from a DFT-relaxed cell (PBE, Alexandria).

Largest 8 diffraction maxima, sorted by position, 2θ = 5–70°:
2θ 27.95, rel. 42, hkl 2 0 2; 2θ 29.04, rel. 29, hkl 2 0 3; 2θ 30.51, rel. 36, hkl 2 0 4; 2θ 31.11, rel. 100, hkl 1 1 7; 2θ 31.49, rel. 30, hkl 0 0 9; 2θ 33.46, rel. 25, hkl 2 1 4; 2θ 38.62, rel. 30, hkl 2 2 0; 2θ 54.59, rel. 26, hkl 3 1 9

Cell and atoms:
abc: 6.5945 6.5945 25.5716
angles: 90.00 90.00 90.00
Space group P4/nbm (No. 125, origin choice 2)
Inequivalent atoms, fractional coordinates:
Nd  0.0658  0.5658  0.1132 x8
Nd  0.0822  0.5822  0.5623 x8
Nd  0.2500  0.2500  0.2141 x4
Nd  0.2500  0.2500  0.3371 x4
Sm  0.2500  0.7500  0.2684 x4
Ho  0.2500  0.7500  0.0000 x2

=====

No. 1
Computed powder XRD pattern of Li4ZnP2S8 for λ = 1.5418 Å (Cu Kα), from DFT lattice parameters and positions (GGA-PBE).

Top 12 peaks for 2θ = 10–80°, low angle first:
- 7.451 Å, 11.88°, intensity 63, hkl 0 1 -1
- 5.004 Å, 17.72°, intensity 67, hkl 0 1 -3
- 4.892 Å, 18.14°, intensity 78, hkl 1 -1 0
- 4.353 Å, 20.40°, intensity 33, hkl -1 1 2
- 3.415 Å, 26.09°, intensity 100, hkl 0 2 3
- 3.183 Å, 28.03°, intensity 67, hkl 0 0 6
- 3.070 Å, 29.09°, intensity 90, hkl 2 0 0
- 2.984 Å, 29.94°, intensity 84, hkl 1 -2 3
- 2.826 Å, 31.66°, intensity 39, hkl 1 0 -6
- 2.023 Å, 44.80°, intensity 35, hkl 0 4 0
- 1.881 Å, 48.39°, intensity 25, hkl 0 2 -9
- 1.756 Å, 52.07°, intensity 48, hkl 3 -2 3

Cell and atoms:
Lattice parameters (Å, degrees): 6.1404 8.0920 19.0987 90.13 90.13 90.10
Element x y z (fractional)
Li (0.0000, 0.0000, 0.0000)
Li (0.0002, 0.0018, 0.3171)
Li (0.4889, 0.7589, 0.9442)
Li (0.4905, 0.0065, 0.7834)
Li (0.4911, 0.5064, 0.4552)
Li (0.4974, 0.0075, 0.1316)
Li (0.4978, 0.4963, 0.7830)
Li (0.5008, 0.9938, 0.4471)
Li (0.9917, 0.2426, 0.5015)
Li (0.9917, 0.2564, 0.8369)
Li (0.9926, 0.5068, 0.9952)
Li (0.9994, 0.5091, 0.6536)
Zn (0.0033, 0.5116, 0.3243)
Zn (0.5027, 0.4916, 0.1258)
Zn (0.9994, 0.9805, 0.6535)
P (0.0050, 0.7484, 0.8276)
P (0.0130, 0.7596, 0.4935)
P (0.4859, 0.2402, 0.6152)
P (0.4923, 0.2663, 0.2861)
P (0.5051, 0.2486, 0.9520)
P (0.9910, 0.7372, 0.1613)
S (0.3278, 0.7410, 0.1502)
S (0.3395, 0.7507, 0.8252)
S (0.3395, 0.7555, 0.4999)
S (0.3737, 0.2619, 0.1841)
S (0.3838, 0.0209, 0.6600)
S (0.3869, 0.4842, 0.3313)
S (0.3899, 0.0495, 0.3267)
S (0.3896, 0.4512, 0.6620)
S (0.3944, 0.2535, 0.8500)
S (0.3945, 0.4637, 0.0013)
S (0.3963, 0.0415, 0.0025)
S (0.3990, 0.2435, 0.5116)
S (0.8302, 0.2659, 0.2910)
S (0.8318, 0.2371, 0.6236)
S (0.8400, 0.2503, 0.9537)
S (0.8667, 0.7523, 0.5923)
S (0.8830, 0.7440, 0.2637)
S (0.8833, 0.9507, 0.1187)
S (0.8846, 0.5177, 0.1173)
S (0.8929, 0.5416, 0.4465)
S (0.8931, 0.9618, 0.7764)
S (0.8938, 0.5393, 0.7783)
S (0.8947, 0.7576, 0.9289)
S (0.8985, 0.9654, 0.4427)

No. 2
Computed powder XRD pattern of Li4ZnP2S8 for λ = 1.5418 Å (Cu Kα), from DFT lattice parameters and positions (GGA-PBE).

Top 12 peaks for 2θ = 10–80°, low angle first:
'''

The basic phishing attacker doesn’t need to do much research to be successful, and they don’t really know which victims will fall for it. Phishing attackers usually play a numbers game, where some people will react without thinking, going to a website link or triggering a malware download; and eventually, the victim may enter sensitive information like a password or credit card number, or an unprotected computer will become infected with a virus or ransomware.

The attacker may, however, put signficant effort into making a message appear to be from a commonly trusted sender, such as major websites like Facebook, Apple or Google. These aren’t really targeted at specific people. So, you may see a notification from Apple, even though you don’t use any Apple products or websites. That would be an obvious clue that it is an opportunistic attack.

The message shown here is a typical, opportunistic phishing message.

This opportunistic phishing message looks pretty convincing.

 Most phishing attacks – regular phishing and spear-phishing – have some recognizable characteristics in different elements of the message. The main elements of any phishing message are the “emotional appeal” or “hook”, the “sender information” and usually a “hyperlink” or “attachment” that triggers an exploit to infect the computer or try to gather information from the victim through an online form. Each element may have clues that can reveal something useful to you in analyzing whether a message is suspicious or not.

Why are spear-phishing messages harder to detect?

There are usually some people who will fall for a basic phishing attack in most organizations, especially if there isn’t a robust, continuous phishing awareness program. Good security software will stop most basic phishing messages based on commonly known traits, but not all of them, since attackers change methods to avoid being detected. In fact, attackers often test their latest messages against the best security software until they are able to get through undetected in their own tests.

You can usually analyze most phishing attacks to find clues in their sender information, as well as hyperlinks or attachments. Sometimes their message content or subject lines will also provide clues about whether or not the message should be treated as suspicious.

In spear-phishing, the main elements of a given email message are the same, but the attackers have a much better idea of whom they are targeting with more elaborate phishing messages, and a much higher expectation of what they want to gain from a successful attack. They key is that a targeted can leverage the trust and emotions of the victim in ways that make them less likely to actually check for the clues. The clues can also be harder to spot than in basic phishing messages, especially if the message resembles a normal communication.

How do spear-phishing attackers make their messages so convincing?

Just like in popular bank heist movies, there are often multiple steps in an attack, and multiple intermediate targets. The first step in a spear-phishing attack rarely even involves the attacker doing anything suspicious. Since the spear-phishing attacker wants to appear believable to you (assuming you are their target), their first step is to do some research.

We all leave a trail of information behind in almost everything we do, and that’s where the spear-phishing attacker will start. The easiest things for them to learn about you might be from Google searches or searches on social media, to see if your profile is public, and if you have made any public posts, shares or likes.

These bits of information that are publicly accessible can tell an attacker some basic information about you, and sometimes, if you “overshare” or are a somewhat public figure, they can learn a lot about you and the people you normally interact with. People don’t expect that anyone would bother harvesting their social media activities. But that’s exactly what attackers do very easily, and very well.

This kind of research is called “profiling”, and the information gathered this way is called “Open Source Intelligence” or OSINT, for short. In decades past, before social media existed, profiling was often done by attackers who literally searched through the trash bins outside of office buildings. This method was called “dumpster diving”, and even today, dumpster diving is still used to gather information that will help spear-phishing attackers in targeting their victims based on real information they have found that was unprotected. This is why shredding of sensitive office documents is so important.

Convincing spear-phishing message complaining of an overpriced quote

I once received a very well-crafted message that clearly targeted my business, accusing me of having tried to rip off the sender by quoting him higher prices than were in a price list I had sent him. The documents and links used in the message had the name of my business and its proper domain in the “anchor text” – an important term we teach you about in Click Armor’s phishing awarenes training. The tip off for me was that I had never had a price list for that business, and therefore, I could never have sent him one! So, the attacker hadn’t done quite enough research to convince me to click on the link, but I would still call the message shown here a very good spear-phishing attack.

Softening you up with a pretext

Once an attacker has enough information about the people their target trusts, they may create intermediate phishing attacks on those individuals, to build a more elaborate scheme or “pretext”. For example, if the attacker can learn about a company that supplies the victim, they can identify people in the supplier organization, and try to learn more about the victim, or get an introduction to the victim from somebody they trust.
This is called a “stepping stone” attack, and it works very well because most people don’t believe that they are giving the person any information of value that could be abused, or that an attacker would go to so much trouble, just to get an introduction. By the time the target victim gets the spear-phishing attack in this case, they are likely to be acting mostly on the trust that they have in the people whom they “believe” they are dealing with.


Whaling, ice-phishing and watering-holes

There are also variations on spear-phishing attacks, such as “whaling”, “ice-phishing” or “watering-hole” attacks. Whaling attacks target senior executives who may have higher levels of authority and access than other staff, making it more worth-while for an attacker to do research and create more elaborate pretexts.

Ice-phishing attacks take advantage of corporate webmail accounts that have been hacked, just to get access to an account inside the corporate perimeter. The attacker then uses the compromised account to impersonate people within an organization, allowing them to launch attacks on larger targets within the organization.

Watering-hole attacks are messages posted in forums dedicated to subjects that the target victim is known or likely to visit frequently, in hopes of enticing them to engage in discussions to begin a trusted relationship that can later be exploited with spear-phishing emails.

Spotting any kind of phishing attack requires a disciplined routine

The rules of basic phishing email analysis remain basically the same, regardless of whether you are facing a “phishing” attack, or a “spear-phishing” attack. It’s just that you are less likely to follow those rules with somebody you trust. This is why it is extremely important to be always on the lookout, and instinctively ready to defend against messages that seem a little unusual or inconsistent, or from people you have only recently connected with.

Sometimes it is virtually impossible to spot a well-crafted spear-phishing attack, and you might wonder “what’s the point in trying, if they are so good, and nothing is going to stop them”. But the important thing to recognize is that with 20% of employees who don’t know what phishing is, let alone how to analyze a potentially suspicious messages, the attackers don’t really need to go to that much trouble to create a convincing attack.

So, as long as you are in the habit of always checking, you can spot many of them, which will reduce your risk a great deal. Understanding how attackers use social engineering techniques like profiling and pretexting is important for catching the more elaborate attacks where you might be a target, or you might just be a stepping-stone to a larger “spear-phishing” attack.